-- Excerpt --
=====
(1)
Below is a structure of composition C42H41NO4P2Pd in a non-equilibrium geometry, with properties calculated with wB97M-V/def2-TZVPD.

The expectation value of S² is 6.0235. The electronic energy comes out at -2790.3407 Eh. The value obtained for the energy above the lowest of the compared OMol25 structures with the same formula, charge and spin is 1.426 eV. As for the net charge: +2. As for the spin multiplicity: 5. As for the frontier orbital gap (spin up / spin down): 5.7 / 2.9 eV.

Geometry (Å):
Pd1 0.07146 0.32813 -1.39686
C1 -1.93533 1.01919 -5.41556
C2 -1.91612 -0.31080 -5.28416
C3 -1.36251 -1.21713 -6.33457
C4 -0.00396 -0.78152 -6.95921
C5 0.94813 -0.04296 -6.06748
C6 0.87676 1.25903 -5.77682
C7 0.01127 2.18516 -6.59283
C8 -1.46316 1.75106 -6.63388
C9 1.38256 0.36633 0.26088
H1 -2.44079 1.66381 -4.69223
H2 -2.59633 -0.82365 -4.58538
H3 -2.10204 -1.29480 -7.15316
H4 -1.26128 -2.23492 -5.94526
H5 0.50178 -1.70894 -7.30816
H6 -0.21941 -0.18190 -7.86094
H7 1.82060 -0.63998 -5.78262
H8 1.54655 1.75901 -5.07451
H9 0.36958 2.24185 -7.64201
H10 0.07241 3.20799 -6.19321
H11 -2.08833 2.64616 -6.77119
H12 -1.61385 1.10437 -7.50862
H13 0.97885 1.22179 0.82293
H14 2.46366 0.46141 0.04227
H15 1.12971 -0.60237 0.71736
P1 -1.49461 -0.88676 -2.47640
P2 2.03446 -0.09663 -2.51992
C10 -0.17195 -1.66689 -3.47548
C11 1.18221 -1.37765 -3.47794
C12 -2.48141 -2.30186 -1.97538
C13 -2.86996 -3.26724 -2.92604
C14 -3.64033 -4.35991 -2.52641
C15 -4.07336 -4.48105 -1.20159
C16 -3.72704 -3.49117 -0.26766
C17 -2.91147 -2.42803 -0.64571
C18 -2.71064 0.50870 -2.49060
C19 -2.25287 1.83145 -2.31502
C20 -3.11997 2.91203 -2.42547
C21 -4.47241 2.69694 -2.69227
C22 -4.95276 1.38994 -2.80487
C23 -4.09091 0.29517 -2.67597
C24 3.41996 -0.99863 -1.79770
C25 3.15011 -2.23394 -1.17463
C26 4.20284 -3.07649 -0.81089
C27 5.52802 -2.67683 -1.03515
C28 5.79542 -1.38899 -1.51556
C29 4.75241 -0.54180 -1.89075
C30 2.58397 1.64086 -2.74195
C31 2.13760 2.58581 -1.79161
C32 2.46902 3.93290 -1.89208
C33 3.20024 4.38770 -2.99610
C34 3.63038 3.46752 -3.95968
C35 3.42245 2.09373 -3.78910
H16 -0.51023 -2.56770 -4.00204
H17 1.86340 -2.02042 -4.05907
H18 -2.56271 -3.15486 -3.96715
H19 -3.91382 -5.11793 -3.26198
H20 -4.68746 -5.33540 -0.89436
H21 -4.09529 -3.54486 0.76058
H22 -2.60021 -1.68536 0.08978
H23 -1.18062 2.01249 -2.12423
H24 -2.73077 3.92248 -2.32285
H25 -5.14192 3.54979 -2.81929
H26 -6.00938 1.21461 -3.00757
H27 -4.47686 -0.72317 -2.74936
H28 2.11133 -2.53651 -1.00983
H29 3.99036 -4.04900 -0.36949
H30 6.34636 -3.37447 -0.82838
H31 6.82937 -1.05228 -1.61318
H32 4.95669 0.45838 -2.27566
H33 1.52644 2.25347 -0.94615
H34 2.15933 4.61653 -1.10001
H35 3.43646 5.44969 -3.09030
H36 4.14741 3.81326 -4.85612
H37 3.85091 1.38142 -4.50308
O1 -1.25340 2.06794 1.18513
C36 -1.43983 0.84617 1.38619
O2 -1.42259 -0.08592 0.48279
C37 -1.59247 0.43824 2.85983
C38 -1.53456 -0.90484 3.30392
C39 -1.57250 -1.21679 4.66637
C40 -1.63518 -0.18428 5.62534
C41 -1.72036 1.15423 5.20079
C42 -1.67980 1.45641 3.84170
N1 -1.60016 -0.46824 7.03280
O3 -1.50198 -1.65799 7.40946
O4 -1.66196 0.49628 7.83391
H38 -1.44383 -1.70849 2.56790
H39 -1.56092 -2.23991 5.03250
H40 -1.82240 1.91813 5.96142
H41 -1.69717 2.50686 3.55745

***

(2)
Below is an isolated molecule of C10H15NOP2 in a non-equilibrium geometry, with properties calculated with wB97M-V/def2-TZVPD.

The electronic energy comes out at -1202.6721 Eh. The value obtained for the energy above the lowest of the compared OMol25 structures with the same formula, charge and spin is 0.000 eV. As for the structure (SMILES): C=P(C)(C)/N=P/c1ccc(OC)cc1. As for the frontier orbital gap: 7.4 eV.

Geometry (Å):
C1 2.56191 -0.60302 0.13613
C2 3.28348 1.67533 -0.16565
C3 1.25150 -0.17560 0.09404
C4 1.97073 2.09133 -0.20837
C5 3.59506 0.32471 0.01127
C6 0.93500 1.16688 -0.07646
C7 -4.33389 0.18602 1.62863
C8 5.29104 -1.32596 0.24405
C9 -4.24219 0.83568 -1.19233
C10 -3.28484 -1.75338 -0.24265
N1 -1.52110 0.35222 -0.11300
O1 4.91896 0.01777 0.04918
=====
-- Activity --
Duplicate the rows above from the line with "3.81326 -4.85612" to the end without additions, please.
-- Worked solution --
H36 4.14741 3.81326 -4.85612
H37 3.85091 1.38142 -4.50308
O1 -1.25340 2.06794 1.18513
C36 -1.43983 0.84617 1.38619
O2 -1.42259 -0.08592 0.48279
C37 -1.59247 0.43824 2.85983
C38 -1.53456 -0.90484 3.30392
C39 -1.57250 -1.21679 4.66637
C40 -1.63518 -0.18428 5.62534
C41 -1.72036 1.15423 5.20079
C42 -1.67980 1.45641 3.84170
N1 -1.60016 -0.46824 7.03280
O3 -1.50198 -1.65799 7.40946
O4 -1.66196 0.49628 7.83391
H38 -1.44383 -1.70849 2.56790
H39 -1.56092 -2.23991 5.03250
H40 -1.82240 1.91813 5.96142
H41 -1.69717 2.50686 3.55745

***

(2)
Below is an isolated molecule of C10H15NOP2 in a non-equilibrium geometry, with properties calculated with wB97M-V/def2-TZVPD.

The electronic energy comes out at -1202.6721 Eh. The value obtained for the energy above the lowest of the compared OMol25 structures with the same formula, charge and spin is 0.000 eV. As for the structure (SMILES): C=P(C)(C)/N=P/c1ccc(OC)cc1. As for the frontier orbital gap: 7.4 eV.

Geometry (Å):
C1 2.56191 -0.60302 0.13613
C2 3.28348 1.67533 -0.16565
C3 1.25150 -0.17560 0.09404
C4 1.97073 2.09133 -0.20837
C5 3.59506 0.32471 0.01127
C6 0.93500 1.16688 -0.07646
C7 -4.33389 0.18602 1.62863
C8 5.29104 -1.32596 0.24405
C9 -4.24219 0.83568 -1.19233
C10 -3.28484 -1.75338 -0.24265
N1 -1.52110 0.35222 -0.11300
O1 4.91896 0.01777 0.04918